The Water Education Foundation has been educating water professionals and the general public in California and across the Colorado River basin for more than 40 years. Its tours, conferences, publications, and online resources make the complex world of western water more easily comprehensible while also highlighting the high stakes of the issues involved.
In this interview, Executive Director Jennifer Bowles tells Irrigation Leader about the foundation’s history, its current activities, and its importance for the irrigation audience.
Irrigation Leader: Please tell us about your background and how you came to be in your current position.
• The text is interrupted by calculated molecules:
........
129
Properties=species:S:1:pos:R:3:forces:R:3 method="wB97M-V/def2-TZVPD" energy_ev=-250296.9407 orbital_gap_ev=8.42 charge=0 spin_multiplicity=1 fmax_ev_per_a=0.33
C 1.86777 -4.37586 2.13499 0.0 0.0 0.2
C 0.99632 -3.50471 1.22857 0.1 0.2 -0.2
P -0.74167 -3.07722 1.64594 -0.1 -0.1 0.1
C -1.68739 -4.65528 1.46428 -0.1 0.0 -0.1
Br -1.03192 -6.20912 2.51764 0.1 0.1 0.0
C -3.22425 -4.53921 1.67251 0.0 -0.1 -0.2
C -3.76548 -3.20286 2.16466 0.0 0.1 0.2
H 1.57599 -4.29097 3.18699 0.0 0.0 -0.1
H 2.91431 -4.07282 2.04641 -0.1 -0.1 -0.1
H 1.80231 -5.42468 1.85260 0.0 0.0 0.1
H 0.97412 -3.90830 0.20780 0.1 0.1 0.1
H 1.45191 -2.50904 1.13236 0.0 -0.2 0.0
H -0.60661 -3.03587 3.04912 -0.1 0.0 0.1
H -1.46241 -4.96235 0.43900 -0.1 0.0 0.1
H -3.52811 -5.30934 2.38728 0.1 0.1 -0.1
H -3.70379 -4.78719 0.71748 0.0 0.0 0.1
H -4.82382 -3.32454 2.40647 0.1 0.0 0.0
H -3.24678 -2.86935 3.06946 -0.1 0.0 -0.1
H -3.70314 -2.39803 1.43180 0.1 -0.1 0.0
C 3.15107 -7.26842 -2.62232 -0.1 0.0 0.0
S 2.41959 -6.69163 -1.09244 -0.1 0.0 0.0
O 3.32181 -5.63289 -0.56328 0.1 0.1 0.0
C 2.76246 -8.17419 -0.14159 0.0 0.0 0.0
H 3.08888 -6.44674 -3.33342 0.0 0.0 0.0
H 4.18700 -7.54697 -2.43912 0.1 0.0 -0.1
H 2.58211 -8.12060 -2.99545 0.0 0.0 0.0
H 3.83701 -8.35504 -0.15428 0.0 0.0 0.0
H 2.21898 -9.01383 -0.57471 0.0 0.0 0.0
H 2.41490 -7.99226 0.87369 0.0 0.0 0.0
C -5.92255 1.95896 3.10802 -0.1 0.1 0.0
S -5.53613 0.23263 3.36877 0.0 -0.2 0.0
O -4.28636 -0.02976 2.59754 0.2 0.0 0.0
C -6.85144 -0.41709 2.34767 -0.1 -0.1 0.0
H -5.14448 2.54466 3.59172 0.0 0.0 0.0
H -5.93095 2.15509 2.03643 0.0 0.0 0.0
H -6.89541 2.18046 3.54819 0.0 0.0 0.0
H -6.73322 0.01097 1.35436 -0.1 -0.1 -0.1
H -7.82388 -0.13742 2.75399 0.0 0.0 0.0
H -6.75005 -1.50158 2.30984 0.0 0.0 0.0
C -4.97824 0.52094 -1.03371 0.0 0.0 -0.1
S -6.43070 1.51596 -1.37383 0.2 0.0 0.0
O -7.49979 1.00571 -0.46847 -0.2 0.0 0.1
C -6.78406 0.83724 -2.99777 0.0 0.0 0.0
H -4.64226 0.76658 -0.02716 0.0 0.0 0.0
H -5.25610 -0.53213 -1.08628 0.0 0.0 0.0
H -4.19214 0.76428 -1.74782 0.1 0.0 0.0
H -6.92258 -0.23967 -2.90539 0.0 0.0 0.0
H -5.96232 1.07241 -3.67401 0.0 0.0 0.0
H -7.70065 1.30621 -3.34980 0.0 0.0 0.0
C 7.56810 -6.62148 -4.23654 0.0 0.0 0.0
S 7.57805 -8.24424 -3.46985 0.0 0.0 0.0
O 6.22205 -8.43182 -2.88829 -0.1 -0.1 0.0
C 8.65116 -7.81328 -2.09789 0.0 0.0 0.0
H 6.89910 -6.67699 -5.09274 0.0 0.0 0.0
H 7.19666 -5.89431 -3.51505 0.0 0.0 0.0
H 8.57493 -6.36974 -4.56980 0.0 0.0 0.0
H 8.19651 -6.99538 -1.53984 0.0 0.0 0.0
H 9.63435 -7.53585 -2.47793 0.0 0.0 0.0
H 8.73383 -8.69654 -1.46812 0.0 0.0 0.0
C -1.73301 0.95870 0.81112 -0.1 0.0 -0.1
S -0.93387 2.10488 -0.31072 0.0 0.0 0.2
O -1.59801 1.96763 -1.64115 -0.1 -0.1 -0.1
C 0.61675 1.20581 -0.42924 0.0 0.0 0.0
H -2.74859 1.29956 0.99689 0.1 0.1 0.1
H -1.74585 -0.03330 0.35757 0.0 0.0 0.0
H -1.18444 0.94699 1.75257 0.0 0.0 0.0
H 0.40534 0.20303 -0.80290 0.0 0.0 0.0
H 1.07403 1.16503 0.56064 0.0 0.0 0.0
H 1.27861 1.73944 -1.10956 0.0 0.0 0.0
C 3.16448 5.69843 -0.02675 0.1 -0.1 0.0
........
Jennifer Bowles: I was a journalist for much of my career, first at the Associated Press in Los Angeles and later at a newspaper in Southern California, where I spent a lot of time covering water issues. In addition, I had been a Scripps fellow at the University of Colorado, Boulder, for a year, studying water law and policy at the law school. When I was a newspaper reporter, I took a tour of the lower Colorado River with the Water Education Foundation, which is how I first became aware of the organization. The then executive director sent me one of the foundation’s California water maps after that tour, and I hung that map everywhere my desk was moved in the newsroom because of how much it helped me to understand water issues in California. It showed where the water came from and where it went—which is sometimes hundreds of miles away. The foundation strives to be extremely neutral and impartial in everything it does, including in writing its water news, so I think my journalism background and my writing and editing skills were an important factor in my being hired by the board 6 years ago.
Irrigation Leader: Please tell us about the foundation and its history.
Jennifer Bowles: The foundation was founded in 1977, in the middle of a bad drought in California. At the beginning, it had a small staff—one person, for the most part—and worked primarily on its Western Water news magazine. But we eventually grew and began hosting conferences because it was clear to my predecessor that the various stakeholders needed a neutral place to discuss the often thorny issues associated with water. We also started running tours and creating those beautiful educational maps of California water regions. The 1990s were a key time for the foundation. That’s when we became the California coordinator for a national program known as Project WET, which stands for Water Education for Teachers. With that program, we began to organize workshops across the state to train educators on how to teach lessons on water in the classroom. During the 1990s, we also started a 1-year leadership program for the various stakeholder groups known as Water Leaders; today, there are more than 400 graduates of that program. In 1997, we also started our Colorado River Project and began applying many of our programs in California to the Colorado River basin, which is a key water source for Southern California. We started programs, wrote news articles, and started planning a lower Colorado River tour. Most importantly, we began holding a high-level Colorado River Symposium every 2 years, which brought together people from all seven states that rely on the river, Mexico, and tribal nations to discuss how to best manage the resources in this major western watershed.
Irrigation Leader: How many staff does the foundation have today?
Jennifer Bowles: Today, the foundation has about 10 staff, most of them full time. We also work with a freelancer who puts together our water news aggregate, Aquafornia, every weekday. Most of our team has a background in either teaching or journalism.
Irrigation Leader: How is the foundation funded?
Jennifer Bowles: We’re funded by donations from a wide variety of people and organizations, and we also apply for grants for specific projects. We also get some money from sales of our water maps, guides on water topics, and other educational materials.
Irrigation Leader: Is the foundation active primarily in California and the seven Colorado River basin states?
Jennifer Bowles: That’s right. We have been based in Sacramento since we were founded in 1977, and we’re active across California and the Colorado River basin.
Between two parts of the entry: quantum chemistry results
~~~
Model P:
C5H13NSi | ωB97M-V/def2-TZVPD

Geometry as XYZ:
```
20
Properties=species:S:1:pos:R:3:lowdin_charge:R:1
C 1.92072 0.19302 -0.05046 -0.185
C 0.65815 0.60922 -0.00807 -0.328
C 2.48471 -1.12722 0.36148 -0.097
C 0.27922 2.02419 -0.54785 -0.076
C -2.54308 0.36560 0.47877 -0.219
N -0.93583 -1.56287 -1.02616 -0.095
Si -0.87559 -0.50166 0.36995 0.535
H 2.64680 0.86155 -0.34343 0.068
H 2.59304 -1.14690 1.37002 0.040
H 1.83471 -1.89906 0.25649 0.013
H 3.45752 -1.38702 -0.14652 0.104
H -0.27793 1.77848 -1.33132 0.024
H -0.14729 2.47934 0.29167 0.049
H 1.24559 2.43144 -0.73631 0.064
H -3.04104 0.40787 -0.45851 0.001
H -3.24634 -0.11145 1.16917 0.020
H -2.45370 1.49254 0.78457 0.064
H -1.79173 -1.73490 -1.46976 -0.011
H -0.48725 -2.47878 -0.90905 0.029
H -0.53596 -1.37894 1.69342 -0.001
```

HOMO energy: -8.95 eV
SMILES: C/C=C(/C)[Si@@H](C)N
Kohn-Sham gap: 9.89 eV

Model Q:
C5H13NSi | ωB97M-V/def2-TZVPD

Geometry as XYZ:
```
20
Properties=species:S:1:pos:R:3:lowdin_charge:R:1
C -1.37495 1.37911 -2.60341 -0.081
C -1.34758 0.22752 -1.95203 -0.291
C 2.71825 -1.24651 1.20899 -0.129
C 1.22767 -1.27089 0.86875 -0.382
C 0.63544 0.11977 0.80036 -0.222
N -2.26955 1.28416 0.77339 -0.116
Si -1.46682 0.02600 -0.08589 0.625
H -1.29105 1.43988 -3.68029 0.048
H -1.47436 2.32194 -2.08852 0.041
H -1.23963 -0.68197 -2.53510 0.042
H 3.09638 -2.25517 1.36407 0.064
H 3.28080 -0.79081 0.39688 0.068
H 2.89553 -0.66797 2.11327 0.068
H 1.09838 -1.77860 -0.08941 0.090
H 0.69271 -1.85303 1.62250 0.096
H 1.21092 0.76802 0.14462 0.046
H 0.54989 0.57233 1.78308 0.042
H -1.72680 1.94674 1.29665 0.015
H -3.10581 1.71022 0.41738 0.018
H -2.10941 -1.25075 0.24470 -0.039
```

HOMO energy: -8.90 eV
SMILES: C=C[Si@H](N)CCC
Kohn-Sham gap: 9.85 eV

Tell me which of them is the least stable. Sure, it is model P.

Model P:
C3H8NOS | ωB97M-V/def2-TZVPD

Geometry as XYZ:
```
14
Properties=species:S:1:pos:R:3:lowdin_charge:R:1
C 0.35639 -0.20954 0.96009 -0.176
C 1.68782 -0.70722 0.30809 -0.393
C -0.21938 0.22514 -0.45273 -0.614
N -1.74582 -0.05688 -0.57720 0.190
O -0.06278 1.76621 -0.89076 -0.059
S 0.86875 -0.97506 -1.26551 0.992
H -0.10320 -1.04451 1.40300 0.095
H 0.33291 0.63256 1.66553 0.128
H 2.40009 0.10266 0.28966 0.089
H 2.03950 -1.57906 0.76139 0.067
H -2.28613 0.69027 0.02418 0.225
H -1.75373 -1.07229 -0.27776 0.174
H -2.20160 0.05172 -1.52395 0.188
H 0.68718 2.17602 -0.42402 0.093
```

net charge: +1
HOMO energy: -13.86 eV
Kohn-Sham gap: 10.04 eV

Model Q:
C3H8NOS | ωB97M-V/def2-TZVPD

Geometry as XYZ:
```
14
Properties=species:S:1:pos:R:3:lowdin_charge:R:1
C 0.68289 0.64961 -0.82043 0.033
C 0.24131 0.49238 0.57566 -0.152
C -1.32695 -0.38760 0.74461 -0.123
N -2.06250 -0.28678 -0.41232 0.040
O 1.22642 -0.37359 0.09633 -0.380
S 3.05880 -0.33395 0.70769 0.982
H 0.04175 0.08256 -1.40692 0.093
H 1.29459 1.35368 -1.24812 0.116
H 0.51541 1.04810 1.42362 0.128
H -1.03803 -1.37503 0.91695 0.103
H -1.79752 0.17223 1.50869 0.108
H -2.62138 0.53139 -0.51263 0.108
~~~
Irrigation Leader: Who are your target audiences?
Jennifer Bowles: Our audience is anyone who wants to learn more about water. I like to describe the foundation as the Switzerland of the California water world—we’re pretty much the only neutral organization, and everyone is invited to our table. We offer a diversity of voices on water issues in whatever we do, whether it’s a tour, a conference, our news articles, or our leadership program. Our target audiences include farmers, environmentalists, urban dwellers, water rights lawyers, engineers who work on water projects, and the employees of state and federal agencies that are involved in water management across the West. Through our programming, we raise awareness of water issues but also seek to catalyze the critical conversations about water that are needed to manage the resource wisely.
Irrigation Leader: What are your main programs?
Jennifer Bowles: Our main programs today are our tours, our online Western Water news, and our maps and printed guides on key water topics. We also run an annual water summit in Sacramento, Project WET workshops, our Colorado River Project, and our yearlong Water Leaders professional development program. Our priority over the
last 2 years has been using social media to reach a wider and more diverse audience and putting more of our staffgenerated water news online. Our Western Water magazine used to be a printed magazine, but a few years ago we took it online, which gives more people the ability to read about water issues as newsrooms continue to shrink. We have the necessary expertise to generate that news, and we want to share it with as many people as we can. Going forward, we want our website to be even more of an educational tool than it already is. We’d like to create more interactive online learning tools in addition to Aquapedia, which is an online water encyclopedia.
Irrigation Leader: Please tell us about your tours. Who goes on them and how do you choose the destination and the speakers?
Jennifer Bowles: We hold six to eight public tours a year. Some are 2 days and some are 3 days. We do bus tours to our major regions every year. One of those annual tours is the Bay-Delta tour, which includes both the Sacramento– San Joaquin Delta, which is the hub of California’s two major water projects, and San Francisco Bay. Tour participants actually go across the bay in a boat during that tour. We do another annual tour across central California’s San Joaquin Valley south of Sacramento, and another tour north of Sacramento across the Sacramento Valley, which includes the big dams like Oroville and Shasta. We also tour the lower Colorado River every year. That tour essentially starts at Hoover Dam and ends in the Coachella Valley in California, taking in the lower basin states of Nevada, Arizona, and California. In the last few years, we have done a headwaters tour to emphasize the importance of the upper watershed and the Sierras with respect to water statewide. That tour goes from Sacramento to Lake Tahoe and back. We also do tours every year based on important topics of the year, such as drought or groundwater. For instance, we did a San Diego tour when the big ocean desalination plant opened in Carlsbad a few years ago.
The tour participants encompass a wide array of people, including farmers, environmentalists, employees of nongovernmental organizations (NGOs) that work on water issues, water district employees and board members, lawyers, engineers, scientists, water managers, and employees of the California Department of Water Resources and the Bureau of Reclamation. Those agencies use our tours as a training ground for their newer staff.
We choose speakers for our tours based on the region and focus of the tour, but we always strive to include a diverse set of voices wherever we go.
Irrigation Leader: Do you have a rough estimate of how many people participate in all your tours every year?
Jennifer Bowles: Probably around 350. The Bay-Delta tour alone has about 100 participants and requires two buses.
Irrigation Leader: Who are the participants in your training programs?
Jennifer Bowles: It’s the same wide array of folks who come to all our events—lawyers, engineers, scientists, people from NGOs, farmers, people who work at water districts or irrigation districts, and people from the state and federal agencies that manage water in the West. Like I said, we’re the Switzerland of the California water world—everybody comes to our events. We take that reputation seriously and strive to remain neutral. I think that’s why people trust us as a resource.
........
# 1
{
  "formula": "C3H9NO",
  "method": "wB97M-V/def2-TZVPD",
  "species": ["C", "C", "C", "N", "H", "H", "H", "H", "H", "H", "H", "H", "H", "O"],
  "positions_angstrom": [[0.892, -1.125, -1.415], [-0.001, -0.316, -0.508], [-1.458, -0.699, 1.195], [-0.287, -1.126, 0.740], [1.326, -1.975, -0.873], [1.811, -0.514, -1.741], [0.409, -1.584, -2.297], [0.611, 0.485, 0.016], [-0.933, 0.145, -0.833], [-1.646, 0.217, 1.828], [-2.329, -1.239, 0.664], [0.985, 2.298, 1.571], [0.517, 2.847, 0.403], [0.104, 2.587, 1.249]],
  "atomic_forces_ev_per_a": [[1.5, 0.1, -1.3], [1.6, -0.2, 2.0], [1.8, -2.0, -2.6], [-3.1, 2.4, 2.2], [-0.3, 0.3, 0.1], [-1.5, -0.7, 0.1], [0.1, 0.5, 0.3], [-0.8, -0.4, -1.4], [0.2, -0.1, -1.0], [0.2, -1.3, 0.6], [0.2, 1.4, 0.9], [-0.9, -0.2, 1.0], [-1.3, 0.3, -0.2], [2.1, -0.1, -0.7]],
  "nbo_charge": [-0.63, -0.21, 0.17, -0.64, 0.23, 0.20, 0.21, 0.19, 0.18, 0.16, 0.12, 0.46, 0.46, -0.92],
  "homo_lumo_gap_ev": 6.95,
  "lumo_energy_ha": -0.011,
  "de_lowest_kcal_mol": 118.2,
  "total_energy_ev": -6789.9293,
  "charge": 0,
  "smiles": "C=NCC.O"
}

***

# 2
{
  "formula": "C3H9NO",
  "method": "wB97M-V/def2-TZVPD",
  "species": ["C", "C", "C", "H", "H", "H", "H", "H", "H", "H", "H", "H", "N", "O"],
  "positions_angstrom": [[-0.936, 0.395, -1.978], [-0.254, -0.396, 0.030], [0.931, -0.478, 0.996], [-0.948, 1.533, -2.474], [-2.122, -0.097, -1.551], [-0.332, -0.510, -2.804], [-0.354, -1.337, -0.482], [-1.189, -0.333, 0.643], [0.747, -1.300, 1.847], [1.759, -0.735, 0.341], [-0.029, 1.233, 1.876], [1.666, 0.456, 2.747], [1.111, 0.910, 1.693], [-0.050, 0.657, -0.883]],
  "atomic_forces_ev_per_a": [[0.0, 0.2, -1.6], [0.4, -0.3, 2.0], [-1.2, 0.3, 1.6], [-0.6, -3.5, 0.7], [3.7, 1.8, -1.6], [-2.2, 2.8, 2.5], [0.2, -0.6, -0.5], [0.3, 0.6, -0.6], [0.3, 1.5, -2.3], [0.7, 0.1, 0.6], [4.3, -1.3, 0.1], [-2.7, 2.5, -3.7], [-1.3, -2.9, 3.1], [-1.7, -1.3, -0.3]],
  "nbo_charge": [-0.29, -0.09, -0.24, 0.22, 0.19, 0.18, 0.18, 0.16, 0.18, 0.20, 0.35, 0.35, -0.82, -0.55],
  "homo_lumo_gap_ev": 10.39,
  "lumo_energy_ha": 0.032,
  "de_lowest_kcal_mol": 121.2,
  "total_energy_ev": -6789.7985,
  "charge": 0
}

***

# 3
{
  "formula": "C3H9NO",
  "method": "wB97M-V/def2-TZVPD",
........
Our Water Leaders program has more than 400 graduates. A strong theme of that program is learning other perspectives and getting out of your comfort zone. We match everybody in that program up with a mentor, usually someone with a completely different background, to help them come to understand water from a different perspective. We have seen graduates of that program move into top leadership roles in the water world, which is really satisfying.
Irrigation Leader: Who uses your books, maps, Aquapedia, and the other resources you create?
Jennifer Bowles: Our Layperson’s Guide series—which includes books on groundwater, California water, and water rights—are used by universities, which we know because we suddenly get a lot of orders as the semesters start. We know that professors use them, which is part of the reason we keep them in a print version. I have had people tell me that when they first came to California after getting hired by a water engineering firm or law firm, they went through our whole collection of water guides. I’ve heard that story over and over again. Water issues in California are probably more complicated than in any other state, and our publications are a good resource for getting your arms around the issues.
Irrigation Leader: Which of your programs are most relevant for farmers and irrigators?
Jennifer Bowles: Many of our tours go through major farming regions, including the Imperial, Palo Verde, and Coachella Valleys, which all use Colorado River water; California’s Central Valley; and the Sacramento–San Joaquin River Delta. We’re always striving to tell the story of agriculture as part of the overall water story, so every tour has some agricultural aspect to it. We write a lot about agriculture in our Western Water news, which, as I mentioned, is fully available online. Some of our Layperson’s Guides focus specifically on agriculture-related water topics such as groundwater; agricultural drainage; and the Central Valley Project, the federal infrastructure project that brings water from Northern California to many farms in the state. Our groundwater map is also popular in the agricultural world, which uses groundwater heavily. In addition, when the Sustainable Groundwater Management Act (SGMA) was passed in California in 2014, we received a grant to work on a handbook to help people understand the new law and how it was being implemented. SGMA’s first targets were critically overdrafted basins, many of which are in the major farming region of the San Joaquin Valley.
Irrigation Leader: Do you work directly with irrigation districts?
Jennifer Bowles: I’m not sure we can say we work directly with them, but many of them support our work and have served on our board of directors. Right now, the Palo Verde Irrigation District, located along the Colorado River, is represented on our board. We always try to have some farming element on our board. We have a couple of farmers on our board who speak regularly at our events, including on our water tours. A lot of irrigation district employees attend our tours as well and participate in our yearlong Water Leaders program. We interact with irrigation districts and farmers all the time, and they attend our events regularly.
Irrigation Leader: What is your vision for the future of the foundation?
Jennifer Bowles: We want to put more of our materials online and create more interactive learning tools. We want to expand our programs even more across the Colorado River basin. We want to keep making a difference by bringing in diverse voices and helping people understand the water story so the differences can be resolved and the resource managed wisely.
Jennifer Bowles is the executive director of the Water Education Foundation. She can be contacted at